Day 43: Squashed!
I’m hopeful today. In addition to the facts that I can actually see across the Puget Sound to the Olympic Mountains, the Orcas have been romping around the southern islands lately, and I actually saw a patch of something blue in the sky above my head yesterday, I’m trying out squash. Squash! Come on, I know you are on the edge of your seat. Since squash is more likely to be part of my reality than clear skies for the next six months, I’ll talk about that.
I love squash. I said “love” with a sugary sweet, suth-un belle accent. “Luuuuuv” and a Dr. Evil pout after it, too. I never had squash growing up. I have forgiven my mom, and anyhow, I probably would have rejected it due to its texture. Or its color. Or because it wasn’t green beans or carrots. Baked squash is like nature’s candy, if you do it right. Don’t quote me if you expect that out of spaghetti squash, but the others – acorn, butternut, delicata, red kuri, pumpkin, blue, and more, deliver a natural sweetness packed with excellent nutritional value such as …
Data records, kept here for reference
********
Here is a molecular structure, C44H46As2NO5PSZr from the OMol25 dataset. Energies are from wB97M-V/def2-TZVPD.

Structure (XYZ):
```
101
C44H46As2NO5PSZr wB97M-V/def2-TZVPD
Zr 0.48 -0.12 2.02
As 0.06 -3.30 1.53
As -1.26 -0.81 -0.25
S -0.88 -0.73 4.44
P -1.05 2.04 2.48
O -1.39 -1.01 3.07
O 0.55 -0.34 4.18
O 1.89 -0.61 0.64
O -1.03 -1.79 5.39
O 3.87 -0.87 -0.32
N 3.66 -0.75 -3.00
C 1.84 1.60 2.40
C -1.89 1.80 4.15
C -2.51 2.45 1.48
C 1.95 -2.23 -4.75
C 5.11 -1.71 -6.79
C 0.95 -4.58 0.36
C -4.81 2.09 0.84
C 1.14 1.88 -3.57
C -4.52 -3.42 0.27
C 1.27 1.43 -1.24
C 5.42 -0.69 -4.65
C 1.41 2.90 3.08
C 4.13 -1.08 -4.29
C -3.95 -4.51 0.91
C 2.76 -0.37 -0.32
C -3.72 1.78 1.64
C -3.73 -2.33 -0.06
C 5.91 -1.02 -5.90
C -2.90 1.78 6.78
C -0.31 4.73 2.63
C -1.81 -3.39 0.93
C -0.03 -4.36 3.16
C -2.40 3.44 0.49
C 3.82 -2.10 -6.45
C -3.08 2.89 5.96
C 3.32 -1.80 -5.17
C -2.60 -4.49 1.24
C -4.70 3.08 -0.12
C -2.38 -2.31 0.26
C 2.70 0.20 -2.77
C 2.03 5.30 2.81
C 0.63 5.69 2.79
C 2.11 0.92 -3.82
C 2.24 0.45 -1.45
C 2.41 4.02 2.89
C -0.24 -1.62 -1.70
C -2.57 2.90 4.67
C -2.22 0.68 6.30
C 0.05 3.34 2.56
C -3.50 3.75 -0.29
C -1.72 0.71 5.01
C -2.47 0.26 -1.31
C 0.72 2.16 -2.28
C 2.97 -2.85 -7.44
H 2.01 -4.56 0.59
H 0.73 2.43 -4.41
H 0.56 -5.59 0.52
H -3.81 1.01 2.40
H -0.84 -2.39 -2.18
H 0.36 6.74 2.79
H 1.36 2.69 4.17
H 1.90 -2.37 -3.67
H 0.97 -4.44 3.57
H -0.66 -3.83 3.87
H 6.91 -0.73 -6.19
H 2.00 -2.38 -7.58
H -0.42 -5.36 2.98
H 2.44 0.74 -4.83
H 2.67 1.10 2.94
H 2.79 -3.88 -7.11
H -4.55 -5.37 1.16
H -2.07 -0.20 6.91
H 3.47 -2.90 -8.41
H -3.30 1.78 7.79
H 5.48 -1.96 -7.78
H -3.42 4.53 -1.04
H 0.81 -4.30 -0.68
H -1.88 1.07 -1.74
H 6.02 -0.13 -3.94
H -5.57 -3.42 0.03
H 0.02 -0.85 -2.43
H -2.88 -0.36 -2.11
H 3.46 3.76 2.86
H 4.19 -1.01 -2.18
H -3.27 0.67 -0.71
H 2.25 1.86 1.42
H -5.74 1.56 0.98
H 2.79 6.08 2.71
H -5.56 3.33 -0.74
H -1.46 3.96 0.37
H 0.96 1.67 -0.22
H -3.61 3.76 6.33
H 0.00 2.94 -2.08
H 1.66 -3.17 -5.23
H -2.18 -5.35 1.75
H -2.70 3.78 4.05
H -1.34 5.02 2.49
H -4.18 -1.49 -0.56
H 1.19 -1.48 -5.02
H 0.69 -2.04 -1.31
```

Properties
net charge: 0
HOMO-LUMO gap: 5.4077 eV
energy relative to the best compared isomer or geometry (same formula, charge and spin): 0.00 kJ/mol
E: -201185.6413 eV
E_LUMO: -0.2050 eV


Here is 23 unconnected molecules or ions with the total composition C44H46Cl66F3N2 at a distorted geometry from the OMol25 dataset. Energies are from wB97M-V/def2-TZVPD.

Structure (XYZ):
```
161
C44H46Cl66F3N2 wB97M-V/def2-TZVPD
Cl -2.96 -6.23 9.55
Cl 0.44 13.81 3.41
Cl -8.79 9.66 -6.90
Cl -9.01 1.47 -2.77
Cl -4.71 8.58 -5.19
Cl -1.11 -5.46 -2.39
Cl -6.32 11.15 -6.56
Cl 6.35 -7.73 7.86
Cl 3.58 -1.41 0.58
Cl 3.27 -3.44 10.38
Cl 6.32 -9.80 5.83
Cl 13.00 -5.73 5.08
Cl 1.15 -5.78 5.22
Cl -8.83 12.27 -5.62
Cl 6.18 -1.67 -0.78
Cl -0.78 -9.72 3.66
Cl -8.61 3.84 -6.22
Cl -2.51 -6.46 -0.04
Cl 1.42 -2.38 -4.34
Cl -9.96 6.30 -6.94
Cl -7.10 -10.90 -0.73
Cl 1.26 -6.32 8.08
Cl 3.51 -10.98 8.01
Cl 11.95 -12.79 7.29
Cl 8.59 -9.56 7.62
Cl 13.39 -10.38 8.05
********
[brain fart. is this thyroid brain fog or pms or perimenopause? i have so many medical, dietary, technical, scientific words wandering around my brain these days, the word i need has eluded me and all i can dredge up is … words like anaerobic, salicylates, antigen, antibodies… ]
Data records, as found in the file:
********
{"formula": "C69H151N7O13", "method": "wB97M-V/def2-TZVPD", "e_tot_ev": -111036.809, "de_lowest_kcal_mol": 92.7, "gap_ha": 0.305, "total_charge": 0, "spin_multiplicity": 1, "smiles": "CC1(C)CCCC(C)(C)N1O.CC1(C)CCCC(C)(C)N1O.CC1(C)CCCC(C)(C)N1O.CC1(C)CCCC(C)(C)N1O.CC1(C)CCCC(C)(C)N1O.CC1(C)CCCC(C)(C)N1O.CC1(C)CCCC(C)(C)N1O.OCCO.OCCO.OCCO", "species": ["C", "C", "C", "C", "C", "C", "C", "C", "C", "N", "O", "H", "H", "H", "H", "H", "H", "H", "H", "H", "H", "H", "H", "H", "H", "H", "H", "H", "H", "H", "C", "C", "C", "C", "C", "C", "C", "C", "C", "N", "O", "H", "H", "H", "H", "H", "H", "H", "H", "H", "H", "H", "H", "H", "H", "H", "H", "H", "H", "H", "C", "C", "C", "C", "C", "C", "C", "C", "C", "N", "O", "H", "H", "H", "H", "H", "H", "H", "H", "H", "H", "H", "H", "H", "H", "H", "H", "H", "H", "H", "C", "C", "C", "C", "C", "C", "C", "C", "C", "N", "O", "H", "H", "H", "H", "H", "H", "H", "H", "H", "H", "H", "H", "H", "H", "H", "H", "H", "H", "H", "C", "C", "C", "C", "C", "C", "C", "C", "C", "N", "O", "H", "H", "H", "H", "H", "H", "H", "H", "H", "H", "H", "H", "H", "H", "H", "H", "H", "H", "H", "C", "C", "C", "C", "C", "C", "C", "C", "C", "N", "O", "H", "H", "H", "H", "H", "H", "H", "H", "H", "H", "H", "H", "H", "H", "H", "H", "H", "H", "H", "C", "C", "C", "C", "C", "C", "C", "C", "C", "N", "O", "H", "H", "H", "H", "H", "H", "H", "H", "H", "H", "H", "H", "H", "H", "H", "H", "H", "H", "H", "O", "C", "C", "O", "H", "H", "H", "H", "H", "H", "O", "C", "C", "O", "H", "H", "H", "H", "H", "H", "O", "C", "C", "O", "H", "H", "H", "H", "H", "H"], "coordinates": [[0.96522, -8.54339, -11.54721], [1.63857, -7.35364, -10.78249], [1.38801, -7.44860, -9.23022], [3.21605, -7.43351, -10.91728], [3.71540, -6.99425, -12.29011], [3.31127, -5.54807, -12.63420], [1.76608, -5.40392, -12.50386], [1.42632, -3.91979, -12.35235], [1.03452, -5.97417, -13.82348], [1.20149, -6.06836, -11.27475], [-0.16051, -5.87421, -10.97718], [-0.12227, -8.47287, -11.56934], [1.26376, -8.66959, -12.58790], [1.20325, -9.48126, -11.04538], [1.65619, -6.56525, -8.65067], [0.34241, -7.47156, -8.92317], [1.86650, -8.32069, -8.78457], [3.86400, -7.23068, -10.06457], [3.35515, -8.51302, -10.97564], [4.78130, -7.21164, -12.35867], [3.24535, -7.64871, -13.02416], [3.76952, -5.25938, -13.58012], [3.81210, -4.98917, -11.84369], [0.35035, -3.76311, -12.42873], [1.83928, -3.32278, -13.16546], [1.78547, -3.51669, -11.40545], [-0.02362, -5.71286, -13.81130], [1.09444, -7.05024, -13.98657], [1.44111, -5.45504, -14.69141], [-0.24337, -5.15957, -10.34156], [6.14328, -14.82199, -21.31033], [6.82781, -13.97630, -20.22671], [6.64334, -14.68779, -18.82494], [8.31960, -13.92726, -20.43948], [8.71605, -13.02029, -21.65348], [8.14198, -11.61286, -21.47799], [6.60177, -11.58650, -21.10804], [6.36334, -10.19799, -20.56298], [5.86203, -11.73525, -22.42160], [6.29675, -12.58605, -20.10942], [5.06604, -12.52180, -19.45531], [6.52673, -15.83857, -21.39775], [5.05868, -14.83200, -21.20247], [6.18608, -14.30175, -22.26721], [6.68968, -14.08241, -17.91970], [5.61702, -15.04889, -18.75877], [7.30632, -15.51682, -18.57744], [8.78315, -13.71706, -19.47561], [8.62561, -14.94665, -20.67466], [9.79777, -13.09889, -21.76210], [8.43174, -13.37637, -22.64368], [8.50553, -10.99848, -22.30169], [8.62334, -11.31699, -20.54586], [6.89956, -10.18145, -19.61414], [5.30501, -9.96653, -20.44274], [6.85317, -9.49983, -21.24176], [5.98519, -10.76215, -22.89700], [4.78891, -11.87587, -22.29217], [6.26216, -12.47066, -23.11957], [5.34035, -12.24327, -18.57851], [5.04915, -9.84294, -8.48742], [6.11450, -10.86313, -8.12678], [5.39105, -12.04496, -7.38604], [6.60587, -11.36008, -9.56031], [7.74053, -10.52865, -10.18234], [8.82020, -10.30148, -9.21774], [8.44369, -9.71421, -7.81258], [9.65702, -10.01478, -6.88926], [8.25826, -8.17013, -7.99099], [7.22511, -10.36335, -7.32373], [6.78021, -9.87668, -6.09818], [4.25895, -10.20237, -9.14658], [4.71940, -9.34753, -7.57421], [5.45595, -9.08154, -9.15292], [6.20673, -12.76781, -7.36981], [4.95145, -11.92050, -6.39641], [4.70613, -12.45177, -8.13001], [6.99975, -12.34544, -9.31124], [5.67531, -11.41013, -10.12569], [8.09057, -10.97322, -11.11397], [7.24393, -9.62058, -10.52425], [9.52237, -9.60097, -9.66977], [9.39632, -11.21862, -9.09511], [9.85478, -11.08649, -6.86886], [9.55812, -9.57522, -5.89673], [10.46164, -9.46392, -7.37633], [7.82070, -7.74985, -7.08545], [7.48179, -8.01206, -8.73945], [9.18032, -7.59901, -8.09924], [6.44326, -9.02407, -6.38300], [6.22974, -12.00771, -15.27408], [4.99646, -12.63039, -14.61937], [5.29022, -14.13607, -14.36078], [4.80805, -12.00901, -13.22824], [4.20784, -10.61186, -13.24035], [3.00360, -10.60735, -14.10028], [3.16080, -11.20393, -15.52096], [1.73535, -11.30581, -16.08684], [4.02488, -10.24017, -16.43184], [3.73770, -12.56290, -15.45126], [3.84111, -13.15145, -16.68826], [6.13540, -11.84559, -16.34782], [6.46575, -11.01410, -14.89311], [7.15608, -12.57658, -15.19428], [6.10171, -14.25163, -13.64228], [4.42155, -14.69657, -14.01531], [5.43004, -14.63380, -15.32037], [4.19852, -12.67626, -12.61885], [5.76865, -12.08574, -12.71886], [3.94221, -10.30296, -12.22935], [4.80646, -9.85296, -13.74416], [2.62528, -9.58607, -14.14448], [2.24672, -11.17975, -13.56401], [1.28582, -10.33445, -16.29297], [1.04012, -11.77913, -15.39349], [1.61227, -11.84116, -17.02830], [4.88423, -9.93089, -15.83688], [3.34361, -9.41644, -16.64497], [4.43588, -10.63982, -17.35891], [3.65423, -14.05823, -16.43442], [3.78832, -7.47251, -19.77074], [2.34113, -7.82043, -20.09158], [1.58977, -7.45835, -18.76157], [1.86468, -6.81056, -21.16782], [0.49945, -7.11513, -21.71012], [0.35094, -8.53044, -22.26666], [0.82485, -9.60946, -21.24183], [-0.29433, -10.03373, -20.15599], [1.17708, -10.90121, -22.09247], [2.13862, -9.24490, -20.56429], [2.59715, -10.14696, -19.62299], [4.41602, -7.76588, -20.61218], [3.93287, -6.42529, -19.50512], [4.07837, -8.04791, -18.89160], [1.93131, -6.47893, -18.42663], [0.50955, -7.37702, -18.88246], [1.75524, -8.20495, -17.98484
********
Back to the piece:
… antioxidants! *brain back online* … excellent nutritional value such as antioxidants and vitamins, and fun colors to add to a dish.
I’m “testing” squash today – in other words, reintroducing it to my diet, per the autoimmune elimination/provocation diet guidelines. With a new or reintroduced food, you eat it three times in one day, and then wait 72 hours without adding anything else new, to see if any reactions happen. Many people have delayed reactions, so the waiting time is important.
I eliminated it because it is too high sugar for some people with Hashimoto’s, and, since I had some weird itching going on with my feet two weeks ago, I decided to eliminate it and play it safe. No, the itching was not something growing on my feet. Turns out it’s a reaction I’ve been having to high-salicylate foods like avocado. Though I did notice last week that there is actually moss growing on my street. No, I mean ON the pavement. It’s just wrong. My feet were a hot mess last night. Literally; hot, angry, itchy, swollen. Fine by morning. It’s been like this every night for almost two weeks; I finally found out about salicylates, which are a substance in many fruits and veges, that some people react to with similar symptoms. Turns out avocado and coconut are high in salicylates, and guess what I’ve been eating a LOT of… The good news is many reactive people can consume them just fine if they figure out their threshold – so I’m decreasing my coconut intake dramatically, and we’ll see. I’ve cut out avocado completely.
Today I baked a very ripe acorn squash (see pic, it’s orange, not green any more!), and with breakfast, had it with salt and olive oil. Check out my simple recipe for baked squash, you won’t be disappointed. Muy delicioso. For lunch I discovered what may become my newest secret delicacy… I steamed part of it, upside down, in a bit of home-made coconut milk. Sprinkle with salt. Slurp.
I’ve taken to steaming/poaching a lot lately. I don’t even keep a microwave in my house. No, don’t start a conversation about it with me, you’ll get the hand. I grew up with an old one that I’m convinced was leaky, and every time I see a micro now, I expect small green men to come climbing out, carrying the food. I like my food’s molecules to stay where they started, not rearranged into new and sinister substances (do your reading, it’s out there). Back to steaming – I like to steam my veggies instead of sautéing. And when I reheat my yummy turkey sausages, I put them in a stainless steel pan and add about a 1/8 cup of water to steam them, lid on. It makes them soft and moist again, instead of leathery like they get when reheated in a frying pan. I am trying to stay away from heated oils as much as possible, to reduce my exposure to rancidity and the ensuing free radicals that are so harmful. Some foods must be sautéed, but when I can, I avoid heating oils. Maybe I’ll write a post about that sometime soon.
Going to finish my coconut-steamed acorn squash now…